Assignment
Now restate only the lines below with the word "Ca" in them.

File
'''
# 1
For Sr3Cu3P4O16, a crystal structure in the Materials Project, relaxed with PBE gives the calculated PXRD pattern in this record (λ = 1.5418 Å (Cu Kα)).
Neutral-atom scattering factors, no anomalous dispersion.

Principal peaks in the range 10 to 90 degrees two-theta, in order of rising 2θ:
11.41°, I 70
18.66°, I 47
19.03°, I 35
20.13°, I 25
26.53°, I 71
29.39°, I 38
30.57°, I 100
31.15°, I 41
31.42°, I 79
33.95°, I 88
35.88°, I 65
48.23°, I 27

Cell and atoms:
```
Sr3Cu3P4O16
1.0
9.1810 -2.5030 0.0000
9.1810 2.5030 0.0000
-7.9601 0.0000 15.5171
Sr Cu P O
6 6 8 32
direct
0.0430 0.6533 0.8630
0.2122 0.7878 0.7500
0.3467 0.9570 0.6370
0.6533 0.0430 0.3630
0.7878 0.2122 0.2500
0.9570 0.3467 0.1370
0.0000 0.5000 0.0000
0.1360 0.6630 0.5301
0.3370 0.8640 0.9699
0.5000 0.0000 0.5000
0.6630 0.1360 0.0301
0.8640 0.3370 0.4699
0.0235 0.5384 0.6198
0.2812 0.6848 0.3988
0.3152 0.7188 0.1012
0.4616 0.9765 0.8802
0.5384 0.0235 0.1198
0.6848 0.2812 0.8988
0.7188 0.3152 0.6012
0.9765 0.4616 0.3802
0.1022 0.4631 0.7053
0.1063 0.8003 0.3124
0.1295 0.7422 0.0301
0.1441 0.2874 0.5462
0.1513 0.5797 0.6223
0.1884 0.6309 0.4225
0.1968 0.3009 0.9040
0.1997 0.8937 0.1876
0.2578 0.8705 0.4699
0.2874 0.1441 0.0462
0.3009 0.1968 0.4040
0.3691 0.8116 0.0775
0.3839 0.6007 0.8862
0.3993 0.6161 0.6138
0.4203 0.8487 0.8777
0.4631 0.1022 0.2053
0.5369 0.8978 0.7947
0.5797 0.1513 0.1223
0.6007 0.3839 0.3862
0.6161 0.3993 0.1138
0.6309 0.1884 0.9225
0.6991 0.8032 0.5960
0.7126 0.8559 0.9538
0.7422 0.1295 0.5301
0.8003 0.1063 0.8124
0.8032 0.6991 0.0960
0.8116 0.3691 0.5775
0.8487 0.4203 0.3777
0.8559 0.7126 0.4538
0.8705 0.2578 0.9699
0.8937 0.1997 0.6876
0.8978 0.5369 0.2947
```

# 2
For La7ScAl8O24, a crystal structure in the Materials Project, relaxed with PBE gives the calculated PXRD pattern in this record (λ = 1.5418 Å (Cu Kα)).
Neutral-atom scattering factors, no anomalous dispersion.

Principal peaks in the range 10 to 90 degrees two-theta, in order of rising 2θ:
16.56°, I 4
23.50°, I 42
33.48°, I 100
41.31°, I 43
48.07°, I 38
54.18°, I 20
59.85°, I 39
70.34°, I 22
75.32°, I 10
80.18°, I 17
84.98°, I 13
89.74°, I 8

Cell and atoms:
```
La7ScAl8O24
1.0
7.5708 0.0000 0.0000
0.0000 7.5708 0.0000
0.0000 0.0000 7.5708
La Sc Al O
7 1 8 24
direct
0.0000 0.0000 0.0000
0.0000 0.0000 0.5000
0.0000 0.5000 0.0000
0.0000 0.5000 0.5000
0.5000 0.0000 0.0000
0.5000 0.0000 0.5000
0.5000 0.5000 0.0000
0.5000 0.5000 0.5000
0.2512 0.2512 0.2512
0.2512 0.2512 0.7488
0.2512 0.7488 0.2512
0.2512 0.7488 0.7488
0.7488 0.2512 0.2512
0.7488 0.2512 0.7488
0.7488 0.7488 0.2512
0.7488 0.7488 0.7488
0.0000 0.2502 0.2502
0.0000 0.2502 0.7498
0.0000 0.7498 0.2502
0.0000 0.7498 0.7498
0.2502 0.0000 0.2502
0.2502 0.0000 0.7498
0.2502 0.2502 0.0000
0.2502 0.7498 0.0000
0.2524 0.2524 0.5000
0.2524 0.5000 0.2524
0.2524 0.5000 0.7476
0.2524 0.7476 0.5000
0.5000 0.2524 0.2524
0.5000 0.2524 0.7476
0.5000 0.7476 0.2524
0.5000 0.7476 0.7476
0.7476 0.2524 0.5000
0.7476 0.5000 0.2524
0.7476 0.5000 0.7476
0.7476 0.7476 0.5000
0.7498 0.0000 0.2502
0.7498 0.0000 0.7498
0.7498 0.2502 0.0000
0.7498 0.7498 0.0000
```

# 3
For Ca4Si2O7F2, a crystal structure in the Materials Project, relaxed with PBE gives the calculated PXRD pattern in this record (λ = 1.5418 Å (Cu Kα)).
Neutral-atom scattering factors, no anomalous dispersion.

Principal peaks in the range 10 to 90 degrees two-theta, in order of rising 2θ:
27.02°, I 29
28.90°, I 100
30.10°, I 14
30.25°, I 13
30.52°, I 24
30.76°, I 52
43.43°, I 12
44.31°, I 15
47.91°, I 30
49.27°, I 16
49.57°, I 15
52.27°, I 11

Cell and atoms:
```
Ca4Si2O7F2
1.0
7.5957 0.0000 0.0000
0.0000 10.6253 0.0000
-3.6814 0.0000 10.4165
Ca Si O F
16 8 28 8
direct
0.0291 0.0871 0.3152
0.0291 0.4129 0.8152
0.1632 0.6337 0.5836
0.1632 0.8663 0.0836
0.3315 0.1371 0.9276
0.3315 0.3629 0.4276
0.4689 0.5973 0.1989
0.4689 0.9027 0.6989
0.5311 0.0973 0.3011
0.5311 0.4027 0.8011
0.6685 0.6371 0.5724
0.6685 0.8629 0.0724
0.8368 0.1337 0.9164
0.8368 0.3663 0.4164
0.9709 0.5871 0.1848
'''

Worked solution
Ca Si O F